About 12 years ago, I bought a laser printer. Brother MFC HL-2280DW with scanner, fax, ethernet, and wi-fi. It was perfect. Until we got iPhones.

The Problem

I’ve tried setting up airprint via cups a few times over the past four years, but could never get it to work. There seemed to be four essential components:

  • Upstream print driver support
  • cups, of a recent enough vintage
  • bonjour/avahi
  • something-something-mdns? Reflector? Firewall/NAT/something?

My approach in the past was generally to run cups and avahi on a VM, and access it from iPhones on a separate wifi network. As noted above, this never worked. I concluded that the missing piece was a dedicated device on the wifi network, running linux, connected directly to the printer. Until recently, dedicated devices have tended to be kludgy, expensive, bulky, or some combination thereof. Single-board computers like the RaspberryPi have eliminated the expensive and bulky factors, and when combined with a 3d-printed case are mostly non-kludgy.

The Hardware

## Attached: molecular data
-- begin --
# C30H51BrCdN4P2

A molecular structure, C30H51BrCdN4P2 at a distorted geometry (wB97M-V/def2-TZVPD, the Open Molecules 2025 dataset).

For the HOMO-LUMO gap (spin up / spin down), the calculation gives 5.22 / 5.22 eV. The molar mass is 722.030 g/mol. For the relative energy (zero: lowest compared OMol25 entry of this formula, charge and spin), the calculation gives 282.92 kJ/mol. The calculation puts the LUMO energy (spin up / spin down) at -7.4799 / -7.4806 eV.

```
! RIJCOSX wB97M-V def2-TZVPD def2/J DEFGRID3
* xyz 2 1
C -0.568 6.710 -4.282
C -0.645 5.354 -4.587
C -1.041 5.089 -5.886
C -1.173 6.106 -6.837
N -1.001 7.404 -6.559
C -0.716 7.682 -5.281
C -0.430 4.154 -3.584
C -0.669 3.055 -3.088
C -1.072 2.302 -1.864
C -0.186 2.292 -0.796
C -0.533 1.474 0.351
C -1.892 0.911 0.445
C -2.703 0.929 -0.739
C -2.319 1.661 -1.853
Cd -0.259 -0.610 -0.987
P 2.499 -1.669 0.470
H -1.230 4.057 -6.092
H -0.399 6.940 -3.251
H -1.417 5.838 -7.848
H -0.587 8.717 -5.021
H -2.976 1.758 -2.764
H 0.763 2.840 -0.983
H -3.719 0.419 -0.886
H 0.269 1.569 1.114
C 2.777 -3.205 1.492
C 3.595 -4.374 0.865
H 1.736 -3.563 1.670
H 3.177 -2.977 2.511
H 3.669 -5.264 1.541
H 3.108 -4.715 -0.076
H 4.630 -4.040 0.622
C 2.538 -1.837 -1.402
C 3.270 -0.767 -2.213
H 1.490 -1.584 -1.716
H 2.629 -2.870 -1.790
H 3.014 -0.852 -3.280
H 2.958 0.245 -1.907
H 4.350 -0.863 -2.103
C 3.896 -0.499 0.999
C 5.325 -1.052 0.990
H 3.580 -0.183 2.015
H 3.824 0.416 0.381
H 6.082 -0.281 1.206
H 5.447 -1.844 1.737
H 5.570 -1.476 0.009
Br -3.945 0.533 1.438
P -1.613 -2.437 -1.333
C -0.131 -3.443 -1.615
C -0.168 -4.834 -2.151
H 0.330 -3.429 -0.587
H 0.458 -2.771 -2.290
H 0.820 -5.120 -2.516
H -0.429 -5.561 -1.390
H -0.869 -4.905 -2.971
C -2.809 -3.211 -0.104
C -4.162 -3.837 -0.146
H -3.026 -2.198 0.273
H -2.157 -3.839 0.527
H -4.501 -3.934 0.885
H -4.923 -3.220 -0.598
H -4.199 -4.833 -0.567
C -2.352 -1.428 -2.671
C -2.736 -1.927 -4.050
H -1.553 -0.632 -2.744
H -3.214 -0.927 -2.197
H -3.182 -1.113 -4.638
H -1.887 -2.283 -4.635
H -3.481 -2.713 -3.944
C 2.239 1.685 5.192
N 0.851 1.373 5.420
C 0.229 2.094 6.517
C 0.049 0.986 4.378
N 0.433 0.708 3.158
N -1.294 0.952 4.761
C -1.651 0.157 5.933
C -2.326 0.984 3.743
H 2.660 1.946 6.154
H 2.368 2.527 4.492
H 2.773 0.810 4.789
H -0.720 2.559 6.209
H 0.027 1.417 7.359
H 0.924 2.858 6.857
H 1.426 0.838 3.015
H -2.399 0.726 6.529
H -2.075 -0.850 5.706
H -0.746 -0.011 6.529
H -1.979 1.627 2.943
H -2.449 -0.049 3.418
H -3.279 1.327 4.178
*
```

These are the Löwdin partial charges, in e, on atoms 1 to 4:
1. C -0.028
2. C -0.194
3. C -0.041
4. C -0.110

---

# C5H6N2S

A single C5H6N2S molecule at a distorted geometry (wB97M-V/def2-TZVPD, the Open Molecules 2025 dataset).

For the HOMO-LUMO gap, the calculation gives 8.19 eV. The molar mass is 126.184 g/mol. For the relative energy (zero: lowest compared OMol25 entry of this formula, charge and spin), the calculation gives 223.40 kJ/mol. The SMILES is CC(=S)n1ccnc1. The calculation puts the LUMO energy at -0.5128 eV.

```
-- stop --
## Here the entry continues

The SBC landscape has a LOT of cheap options with wifi, most with USB, and a few with ethernet. The OrangePi Zero 3 checked all the boxes, and was available on AliExpress for about $22 USD. There were several 3d-printable enclosures avaiable on Printables, so it seemed like as easy choice. I ordered it.

The SBC arrived yesterday. I had already printed a case for it, and got in assembled in about three minutes. I downloaded the appropriate “minimal” flavor of Armbian-current, wrote it to a MicroSD card, and it came right up and appeared on the (wired, with DHCP) network as “orangepi”. I didn’t have the right DisplayPort adaptor, so I did the initial configuration over SSH. Part of the initial configuration was setting up the wireless connection, which was shockingly simple with nmtui-connect.

I ended up with the device connected to the home network via the internal Wi-Fi, and connected to the printer via the on-board ethernet. Power is provided by a 2A USB power supply.

The Software

**Records of molecules, as found in the file:**
/*
# 1
Formula: C19H20BBrN8O2Ru
Source: the OMol25 dataset
Level of theory: ωB97M-V/def2-TZVPD

Each line ends with the Mulliken charge.
Geometry (Å):
1 C -0.197 -0.597 4.044  -1.210
2 H -2.671 2.132 1.188  0.231
3 O -3.545 -1.529 -0.623  -0.662
4 N -2.580 1.736 0.262  -0.380
5 Ru 0.260 -0.049 -0.330  0.457
6 C -0.473 -0.768 2.692  -0.388
7 N -3.238 0.513 0.223  -0.240
8 H 3.014 4.552 1.027  0.549
9 H 4.816 0.305 -0.646  0.570
10 H 0.537 4.748 0.983  0.625
11 C 3.077 1.258 0.180  0.124
12 H 2.052 -5.621 0.103  0.459
13 C 2.577 2.506 0.596  0.452
14 H 0.194 2.884 -2.878  0.449
15 H -0.432 -1.262 4.855  0.435
16 H 1.973 2.862 3.154  -0.119
17 H -1.205 -2.838 -0.061  0.417
18 H -0.400 -5.184 -0.060  0.463
19 H 0.827 1.170 4.960  0.467
20 C 4.739 3.519 0.314  -0.470
21 H 0.043 3.349 2.865  -0.184
22 N 0.389 1.525 -1.383  -0.477
23 N 1.177 2.694 1.000  1.725
24 C 0.283 2.700 -1.803  -0.438
25 N -0.040 0.289 1.998  0.689
26 C 2.538 -3.535 0.208  -0.986
27 C 0.440 0.629 4.113  -0.242
28 N 0.526 1.143 2.879  -0.349
29 C -2.766 -0.610 -0.483  0.540
30 B 0.950 2.610 2.595  0.572
31 H 3.608 -3.675 0.279  0.477
32 H -4.241 0.530 0.308  0.251
33 C 2.828 -1.067 0.257  -0.112
34 C 0.309 -4.374 0.021  -0.994
35 Br 5.833 5.048 0.423  -0.144
36 C 0.248 3.882 -0.924  -0.771
37 H 3.886 -1.156 0.471  0.608
38 C 5.248 2.317 -0.155  -0.719
39 C -0.149 -3.066 0.021  0.015
40 C 4.424 1.218 -0.220  -0.657
41 H 6.280 2.246 -0.469  0.449
42 H -2.955 2.379 -0.426  0.238
43 H 0.650 1.881 0.664  -0.592
44 C 3.407 3.609 0.673  -0.492
45 C 1.676 -4.607 0.114  -0.336
46 N 0.681 -2.029 0.106  0.268
47 O -1.533 -0.653 -0.943  -0.626
48 N 2.275 0.108 0.149  0.288
49 H -0.101 4.805 -1.365  0.489
50 C 2.018 -2.239 0.190  0.362
51 H -0.977 -1.583 2.200  0.487
52 C 0.608 3.869 0.357  -0.569

orbital gap (alpha / beta)	7.08 / 6.84	eV
HOMO level (alpha / beta)	-11.766 / -11.711	eV
charge	+1
multiplicity	2
⟨S²⟩	0.951



# 2
Formula: C17H28FNSb
Source: the OMol25 dataset
Level of theory: ωB97M-V/def2-TZVPD

Each line ends with the Mulliken charge.
Geometry (Å):
1 C -0.884 0.510 0.270  -1.407
2 H 1.228 3.592 -2.908  0.360
3 H -4.636 0.761 1.057  0.268
4 H -1.890 0.989 0.308  0.441
5 H -4.459 -1.925 0.474  0.397
6 N 0.495 1.733 3.468  -0.731
7 H -1.421 -2.628 1.158  0.314
8 H -1.621 1.341 3.276  0.335
9 C 3.922 -0.190 -0.069  -1.356
10 H -3.532 -1.044 -1.991  0.390
11 C 1.783 2.830 -2.346  -0.572
12 C 1.353 -0.974 -1.557  -1.384
13 C 0.659 -2.937 1.054  -0.181
14 H -1.101 0.023 -2.453  -0.234
15 C -0.696 1.416 2.666  -0.825
16 H 2.721 -2.956 2.051  0.415
17 Sb -0.831 -1.173 -1.202  1.190
18 H 1.220 2.122 2.871  0.304
19 C 1.904 0.461 -1.612  0.553
20 H 3.350 -1.041 0.337  0.036
21 C -0.507 0.140 1.731  0.472
22 H -0.815 -2.485 -2.407  -0.260
23 H 3.285 4.203 -1.637  0.355
24 H -3.174 -2.590 -1.227  0.340
25 C 3.094 0.805 -0.890  1.118
26 H 4.362 0.359 0.789  0.404
27 H 2.023 -1.541 -0.895  0.346
28 C -3.720 -1.119 0.254  -0.070
29 H -0.904 -3.713 -0.122  0.519
30 C -0.646 -2.748 0.370  -1.238
*/

I installed cups, brother drivers, foomatic-db(?) and avahi-daemon via apt, and configured cups to listen on the local network (not just localhost) and allow access to the admin page. I stepped through the cups “add a printer” wizard, using an “lpd” connection to the printer’s IP address (print queue for my printer was “BINARY_P1”), and selected the “Share” option. The cups and avahi service weren’t running, so I enabled and started them systemctl and did a confirmation reboot.

== Quantum chemistry results that have nothing to do with the entry ==
........
# 1
Below is an isolated ion of composition C14H16N and charge +1 in a non-equilibrium geometry, with properties calculated with ωB97M-V/def2-TZVPD.

The geometry in XYZ format:
```
31
Properties=species:S:1:pos:R:3:mulliken_charge:R:1
C 1.91754 -1.50539 -2.40527 -0.5581
C 1.31537 -0.33507 -2.91972 -0.6456
C 1.88591 -1.68226 -1.02475 0.0222
C 0.63969 0.49985 -2.07927 0.1267
C 1.18978 -0.81859 -0.21528 0.2935
C -1.21972 2.08083 -0.32986 -0.0362
C -1.28630 3.31029 -0.75654 -0.8740
C -0.56054 -2.51199 1.07442 -1.0958
C 2.28401 -0.37005 2.00318 -0.9750
C 0.28369 -1.78317 1.81204 -0.1197
C 1.25604 -0.85891 1.30807 0.0496
C -1.97338 0.95819 -0.01434 0.1546
C -0.19099 1.02621 0.14803 -0.7775
C -2.70836 1.08282 1.40803 -1.0853
N 0.52454 0.22237 -0.80432 0.3326
H 2.55300 -2.07700 -3.03117 0.4610
H 1.45946 0.02420 -3.90992 0.4471
H 2.26590 -2.66170 -0.49361 0.3425
H 0.09489 1.35342 -2.50802 0.4077
H -0.53452 3.95235 -0.95304 0.4438
H -2.33228 3.45679 -1.01843 0.2778
H -1.16930 -3.18969 1.50701 0.4111
H -0.52188 -2.36199 0.02637 0.3299
H 2.21411 -0.60691 3.11827 0.2422
H 3.04615 0.14419 1.61123 0.4474
H 0.16300 -1.94895 2.90913 0.2762
H -2.40914 0.17758 -0.63770 0.3957
H 0.12181 1.07035 1.16045 0.7318
H -3.27871 0.14279 1.55064 0.3117
H -3.18356 2.05637 1.35859 0.3717
H -1.84620 1.15308 2.10576 0.2900
```

As for the relative energy (zero: lowest compared OMol25 entry of this formula, charge and spin): 5.464 eV. The total charge is +1. The HOMO energy is -12.587 eV. For the maximum force, the calculation gives 5.345 eV/A. The structure (SMILES) is C=CC(=C)c1cccc[n+]1[C@H]1C(=C)[C@@H]1C. Its total energy is -597.4049 a.u.


# 2
Below is one molecule with the formula C14H16N2O6S in a non-equilibrium geometry, with properties calculated with ωB97M-V/def2-TZVPD.

The geometry in XYZ format:
```
39
Properties=species:S:1:pos:R:3:mulliken_charge:R:1
C -5.09644 -3.00573 -0.76476 -1.2386
C -3.85730 -2.17543 -1.03699 -0.1359
H -3.87486 -1.74798 -2.04533 0.2843
H -2.94381 -2.77103 -0.93488 0.2866
O -3.81733 -1.10578 -0.08483 -0.4071
C -2.74091 -0.31410 -0.14305 0.6520
O -1.84714 -0.42809 -0.93681 -0.5675
N -2.83795 0.64643 0.84316 -0.0317
C -2.02700 1.77418 1.02554 -0.0564
O -2.51741 2.76714 1.51271 -0.6152
C -0.62433 1.62060 0.62702 0.4523
C 0.08653 2.70045 0.13430 0.6483
O 1.33325 2.60617 -0.24956 -0.5931
H 1.67156 1.66998 -0.12689 0.6989
C -0.50170 4.06189 -0.01215 -1.1990
H 0.19799 4.69750 -0.54781 0.3631
H -1.45222 4.02192 -0.53779 0.3368
H -0.70075 4.48267 0.97179 0.3106
C -0.00520 0.34594 0.80470 -0.5497
N 1.20708 0.11868 0.43080 -0.3878
C 1.81411 -1.06639 0.57483 0.8008
C 3.14242 -1.33385 0.29073 0.1257
C 3.49057 -2.68990 0.52028 -1.1820
C 2.45491 -3.43822 0.96276 -0.2706
S 1.00177 -2.53068 1.12868 -0.1452
H 2.44158 -4.48174 1.20736 0.4366
H 4.48433 -3.06026 0.34732 0.4598
C 4.13968 -0.37418 -0.19579 0.4438
O 5.28014 -0.66722 -0.46558 -0.6452
O 3.65831 0.87617 -0.31013 -0.2813
C 4.57479 1.85051 -0.78650 -0.7523
H 4.01622 2.78043 -0.84885 0.2498
........

The Result

I tried printing out an email from my phone, and for the first time, it worked. I’m pumped.